Lord Caitanya says: "In this age . . ." This age is called quarrel, age of quarrel. So He says that in this age especially . . . of course, this chanting of holy name of Kṛṣṇa, or God, that is always; throughout the history of Vedic literature you'll find. But especially in this age it is recommended. Why? Now, kalau nāsty eva nāsty eva nāsty eva gatir anyathā. Three times He has said that "There is no other alternative, there is no other alternative, there is no other alternative." Nāsty eva means "There is no other alternative." This is the only process, this is.
Harer nāma harer nāma harer nāmaiva kevalam. He says that, "In this age, simply chanting of God's name, that is the only process, that is the only process, that is the only process. And there is no other alternative, there is no other alternative, there is no other alternative." Why does He say three times? Three times means that this yoga process was possible in the Satya-yuga. Kṛte yad dhyāyato viṣṇum (SB 12.3.52).
In those age people could very easily and nicely meditate upon the Viṣṇu. Sometimes it is recommended that yoga system is meditation in the void. But we do not find in the Vedic literature that yoga system meditation on void. No. It is meditation on Viṣṇu. That will be explained in the Bhagavad-gītā.
Now, after sitting in a secluded place, in a sanctified place, and according to the sitting arrangement, with tiger skin or deer skin and straw, as it is recommended, then one should sit down there. He should not change his āsana, sitting place. Then after sitting, what he has to do? He says, samaṁ kāya-śiro-grīvaṁ dhārayann acalaṁ sthiraḥ (BG 6.13).
Now, one has to sit down straight. One has to sit down straight so that his skull, this head, and the body and everything should be straight like that. Samaṁ kāya-grīvam. Grīva means this neck. The neck and the skull and the body should be in one straight line. Samaṁ kāya-śiro-grīvaṁ dhārayann acalam. And should not move. Sit down like this.
Samprekṣya nāsikā agram: and one has to see the top portion of the nose. Not that one has to close his eyes completely. No. Then you cannot see. Samprekṣya nāsikā agram. You have to see the upper portion of the nose. That means if you . . . I have seen in some of the yogic societies, they close the eyes completely, and some of them, about fifty percent of them, are sneezing (snoozing) or sleeping, regularly.
Because as soon as you close your eyes, and if you have no subject matter to think, and you have been posted to meditate, you do not know to what to meditate, then the next result is sleeping and nothing more. That is practical. So one has to sleep very hard.
Somebody and, and . . . was inquiring here . . . (chuckles) Of course, some of the students, they were sleeping, so he was sarcastically (asking) that "Are they sleeping or meditating?" So I said: "Yes, they are meditating by lying down." Yes. So sometimes meditation goes on in sleeping. No. That is not the process. You cannot close your eyes completely. Then you will invite the queen, sleep, and she will capture you. Whole process will be like that.
Here it is said that in order to keep yourself alive, you have to always see the upper portion of your nose. Samprekṣya nāsikāgraṁ svaṁ diśaś cānavalokayan. And you cannot see that who is coming there, "Oh, who is here? Some tiger is coming or something is coming?" No. No fear. Because you are put in a Himalaya, in a secluded place, and a sanctified place. So you haven't got to, any for any other reason, you haven't got to, I mean, to move your neck.
• Calculated crystals from another source follow:
/*
No. 1
Structure and simulated XRD peak list of YMg6Sb (a cell relaxed with PBE; λ = 1.5418 Å (Cu Kα)).

Top 10 peaks for 2θ from 10° to 90°, in order of rising 2θ:
hkl 0 1 1, 2θ = 15.27°, d 5.801, rel. 77; hkl 1 1 1, 2θ = 23.25°, d 3.825, rel. 24; hkl 1 0 2, 2θ = 23.55°, d 3.778, rel. 29; hkl 0 2 2, 2θ = 30.83°, d 2.900, rel. 27; hkl 1 1 3, 2θ = 32.43°, d 2.760, rel. 33; hkl 2 0 0, 2θ = 35.28°, d 2.544, rel. 35; hkl 1 2 2, 2θ = 35.63°, d 2.520, rel. 100; hkl 1 0 4, 2θ = 36.43°, d 2.466, rel. 50; hkl 0 2 6, 2θ = 55.97°, d 1.643, rel. 18; hkl 2 2 6, 2θ = 67.91°, d 1.380, rel. 19

Lattice parameters (Å, degrees): 5.089 6.764 11.278 90.00 90.00 90.00
Space group Amm2 (No. 38)
Symmetry-distinct sites (fractional):
Y  0.000  0.000  0.000
Mg  0.000  0.000  0.506
Mg  0.000  0.243  0.251
Mg  0.500  0.000  0.339
Mg  0.500  0.237  0.591
Sb  0.500  0.000  0.836



No. 2
Structure and simulated XRD peak list of YMg6Sb (a cell relaxed with PBE; λ = 1.5418 Å (Cu Kα)).

Top 10 peaks for 2θ from 10° to 90°, in order of rising 2θ:
hkl 0 0 2, 2θ = 15.26°, d 5.805, rel. 45; hkl 1 0 0, 2θ = 16.47°, d 5.382, rel. 40; hkl 1 0 2, 2θ = 22.53°, d 3.947, rel. 41; hkl 0 2 2, 2θ = 32.63°, d 2.744, rel. 32; hkl 2 0 0, 2θ = 33.28°, d 2.692, rel. 52; hkl 1 0 4, 2θ = 35.13°, d 2.555, rel. 53; hkl 1 2 2, 2θ = 36.77°, d 2.445, rel. 100; hkl 2 0 4, 2θ = 45.97°, d 1.974, rel. 21; hkl 2 2 2, 2θ = 47.31°, d 1.921, rel. 22; hkl 2 2 6, 2θ = 66.70°, d 1.402, rel. 26

Lattice parameters (Å, degrees): 5.382 6.229 11.610 90.00 90.00 90.00
Space group Amm2 (No. 38)
Symmetry-distinct sites (fractional):
Y  0.000  0.000  0.000
Mg  0.000  0.248  0.247
Mg  0.500  0.000  0.166
Mg  0.500  0.000  0.665
Mg  0.500  0.249  0.408
Sb  0.000  0.000  0.496



No. 3
Structure and simulated XRD peak list of MgSc5 (a cell relaxed with PBE; λ = 1.5418 Å (Cu Kα)).

Top 10 peaks for 2θ from 10° to 90°, in order of rising 2θ:
hkl 0 0 6, 2θ = 31.32°, d 2.856, rel. 25; hkl 2 0 0, 2θ = 34.27°, d 2.616, rel. 25; hkl 1 1 3, 2θ = 35.82°, d 2.507, rel. 100; hkl 2 0 6, 2θ = 47.11°, d 1.929, rel. 14; hkl 0 2 0, 2θ = 55.65°, d 1.652, rel. 6; hkl 0 1 9, 2θ = 55.80°, d 1.647, rel. 11; hkl 3 1 3, 2θ = 62.38°, d 1.489, rel. 17; hkl 2 2 0, 2θ = 67.01°, d 1.397, rel. 6; hkl 2 1 9, 2θ = 67.14°, d 1.394, rel. 12; hkl 1 2 6, 2θ = 68.00°, d 1.379, rel. 8

Lattice parameters (Å, degrees): 5.233 3.303 17.107 90.00 90.00 90.00
Space group Amm2 (No. 38)
Symmetry-distinct sites (fractional):
Mg  0.000  0.000  0.000
Sc  0.000  0.000  0.335
Sc  0.000  0.000  0.670
Sc  0.500  0.000  0.224
Sc  0.500  0.000  0.555
Sc  0.500  0.000  0.890



No. 4
Structure and simulated XRD peak list of Mg2Sc (a cell relaxed with PBE; λ = 1.5418 Å (Cu Kα)).

Top 10 peaks for 2θ from 10° to 90°, in order of rising 2θ:
*/
That is not possible in the society. You must have to go in a secluded place. There are so many disturbance. At once disturbance is there and I have to look, "Who is there?" This is the position here. But here it is said that you cannot move your head. You have to sit down straight, that your neck and skull and body should be in one straight line, and you have to see the upper portion of your nose always. That is the system. Praśāntātmā vigata-bhīr, brahmacāri-vrate sthitaḥ (BG 6.14).
Then one should be undisturbed in mind. A man who is always disturbed in mind, he cannot perform yoga. That is not possible. And vigata-bhīḥ. Bhīḥ means fearfulness. One who has no fear. If he has got fear, then how he can go out of home in the jungle? That is not possible. That is another qualification for executing yoga. Not only for yoga; any person who is trying to elevate himself with the spiritual line, he has to become fearless. Vigata-bhīḥ.
And brahmacāri-vrate sthitaḥ. Brahmacāri-vrata means celibacy, no sex life at all. Completely prohibited. Brahmacārī. Brahmacāri-vrate. Vrata means with a vow that "I'll have no sex life." With a vow. Such person can execute yoga system. Praśāntātmā vigata-bhīr brahmacāri-vrate sthitaḥ, manaḥ saṁyamya. When the ātmā is . . . there is no demand. When you have no demand, then your mind is naturally becomes controlled.